Please write out the calculation results further down without altering anything.

........
First-principles (PBE) data for a relaxed Mn2GeS4 crystal, as listed in the Alexandria database.

a b c (Å): 6.0281 7.3890 12.7623
angles (deg): 90.01 90.07 90.01
Closest atoms and distances in Å follow each position.
Space group P1 (No. 1)
Symmetry-distinct sites (fractional):
Mn: 0.0000 0.0000 0.0000  6 S 2.51-2.66
Mn: 0.0012 0.2511 0.2727  6 S 2.55-2.63
Mn: 0.0006 0.7539 0.2734  6 S 2.55-2.64
Mn: 0.0069 0.4993 0.5427  6 S 2.51-2.67
Mn: 0.4997 0.5013 0.0398  6 S 2.54-2.68
Mn: 0.5015 0.2573 0.7690  6 S 2.55-2.63
Mn: 0.5043 0.7590 0.7712  6 S 2.54-2.63
Mn: 0.5076 0.0007 0.4983  6 S 2.48-2.70
Ge: 0.0867 0.0032 0.6814  4 S 2.22-2.26
Ge: 0.4182 0.0018 0.1818  4 S 2.22-2.27
Ge: 0.5862 0.5017 0.3601  4 S 2.22-2.26
Ge: 0.9188 0.5035 0.8595  4 S 2.22-2.26
S: 0.2174 0.5023 0.3656  1 Ge 2.22
S: 0.2474 0.0043 0.8417  1 Ge 2.26, 1 Mn 2.51
S: 0.2498 0.2375 0.1035  1 Ge 2.25
S: 0.2500 0.7657 0.1037  1 Ge 2.25
S: 0.2554 0.7683 0.6023  1 Ge 2.25
S: 0.2567 0.2409 0.6041  1 Ge 2.26
S: 0.2596 0.0024 0.3431  1 Ge 2.27, 1 Mn 2.48
S: 0.2876 0.5073 0.8630  1 Ge 2.22
S: 0.7179 0.0069 0.6769  1 Ge 2.22
S: 0.7475 0.5023 0.2007  1 Ge 2.26
S: 0.7493 0.7417 0.9366  1 Ge 2.26
S: 0.7508 0.2681 0.9385  1 Ge 2.25
S: 0.7550 0.2650 0.4390  1 Ge 2.26
S: 0.7555 0.7379 0.4392  1 Ge 2.26
S: 0.7575 0.5048 0.6996  1 Ge 2.26, 1 Mn 2.51
S: 0.7863 0.0022 0.1783  1 Ge 2.22

Results
* E_form (uncorrected): -457 meV per atom
* spin magnetization: 2.5 μB per formula unit
* energy: -6.095 eV per atom

---

First-principles (PBE) data for a relaxed Mn2GeS4 crystal, as listed in the Alexandria database.

a b c (Å): 10.2798 10.3425 7.2725
angles (deg): 90.00 134.70 90.00
Closest atoms and distances in Å follow each position.
Space group C2/c (No. 15)
Symmetry-distinct sites (fractional):
Mn: 0.0000 0.0000 0.0000  6 S 2.46-2.48
Mn: 0.2500 0.2500 0.0000  6 S 2.47-2.48
Ge: 0.0000 0.3758 0.2500  4 S 2.42-2.44
S: 0.0003 0.2393 0.5208  1 Ge 2.42, 3 Mn 2.47-2.48
S: 0.2276 0.0115 0.9774  1 Ge 2.44, 3 Mn 2.46-2.47

Results
* E_form (uncorrected): -433 meV per atom
* spin magnetization: 8.0 μB per formula unit
* energy: -6.071 eV per atom

---

First-principles (PBE) data for a relaxed SrMnGe2S6 crystal, as listed in the Alexandria database.

a b c (Å): 12.9862 12.2621 7.0074
angles (deg): 90.00 111.62 90.00
Closest atoms and distances in Å follow each position.
Space group C2/c (No. 15)
Symmetry-distinct sites (fractional):
Sr: 0.0000 0.1319 0.2500  6 S 2.94-3.06
Mn: 0.0000 0.2219 0.7500  4 S 2.35-2.47
Ge: 0.2006 0.4267 0.1940  4 S 2.22-2.31
S: 0.1138 0.0754 0.6850  1 Ge 2.24, 1 Mn 2.47
S: 0.1326 0.2637 0.0745  1 Ge 2.22, 1 Mn 2.35
S: 0.1357 0.4374 0.4595  2 Ge 2.27-2.31

Results
* E_form (uncorrected): -678 meV per atom
* spin magnetization: 5.0 μB per formula unit
* energy: -5.163 eV per atom

---

First-principles (PBE) data for a relaxed MnTlGe2S6 crystal, as listed in the Alexandria database.

a b c (Å): 14.0189 12.4763 6.4505
angles (deg): 90.00 108.70 90.00
Closest atoms and distances in Å follow each position.
Space group C2/c (No. 15)
Symmetry-distinct sites (fractional):
Mn: 0.0000 0.2422 0.2500  4 S 2.13-2.14
Tl: 0.0000 0.0975 0.7500  4 S 3.05-3.35
Ge: 0.2133 0.4126 0.6831  4 S 2.27-2.35
S: 0.0576 0.3322 0.5437  1 Mn 2.13, 1 Ge 2.31
S: 0.1165 0.1351 0.2321  1 Mn 2.14, 1 Ge 2.35
S: 0.2089 0.4203 0.0397  2 Ge 2.27-2.32

Results
* E_form (uncorrected): -206 meV per atom
* spin magnetization: 2.0 μB per formula unit
* energy: -4.759 eV per atom

---

First-principles (PBE) data for a relaxed Tm6MnGe2S14 crystal, as listed in the Alexandria database.

a b c (Å): 9.4933 9.4933 6.0289
angles (deg): 90.00 90.00 120.00
Closest atoms and distances in Å follow each position.
Space group P3 (No. 143)
Symmetry-distinct sites (fractional):
Tm: 0.0233 0.5379 0.0000  6 S 2.64-2.84
Tm: 0.3066 0.1254 0.5093  6 S 2.62-2.85
Mn: 0.6667 0.3333 0.3506  6 S 2.41-2.43
Ge: 0.0000 0.0000 0.9395  4 S 2.23-2.24
Ge: 0.3333 0.6667 0.4256  4 S 2.23-2.24
S: 0.0000 0.0000 0.3092  1 Ge 2.23
........

First-principles (PBE) data for a relaxed Mn2GeS4 crystal, as listed in the Alexandria database.

a b c (Å): 6.0281 7.3890 12.7623
angles (deg): 90.01 90.07 90.01
Closest atoms and distances in Å follow each position.
Space group P1 (No. 1)
Symmetry-distinct sites (fractional):
Mn: 0.0000 0.0000 0.0000  6 S 2.51-2.66
Mn: 0.0012 0.2511 0.2727  6 S 2.55-2.63
Mn: 0.0006 0.7539 0.2734  6 S 2.55-2.64
Mn: 0.0069 0.4993 0.5427  6 S 2.51-2.67
Mn: 0.4997 0.5013 0.0398  6 S 2.54-2.68
Mn: 0.5015 0.2573 0.7690  6 S 2.55-2.63
Mn: 0.5043 0.7590 0.7712  6 S 2.54-2.63
Mn: 0.5076 0.0007 0.4983  6 S 2.48-2.70
Ge: 0.0867 0.0032 0.6814  4 S 2.22-2.26
Ge: 0.4182 0.0018 0.1818  4 S 2.22-2.27
Ge: 0.5862 0.5017 0.3601  4 S 2.22-2.26
Ge: 0.9188 0.5035 0.8595  4 S 2.22-2.26
S: 0.2174 0.5023 0.3656  1 Ge 2.22
S: 0.2474 0.0043 0.8417  1 Ge 2.26, 1 Mn 2.51
S: 0.2498 0.2375 0.1035  1 Ge 2.25
S: 0.2500 0.7657 0.1037  1 Ge 2.25
S: 0.2554 0.7683 0.6023  1 Ge 2.25
S: 0.2567 0.2409 0.6041  1 Ge 2.26
S: 0.2596 0.0024 0.3431  1 Ge 2.27, 1 Mn 2.48
S: 0.2876 0.5073 0.8630  1 Ge 2.22
S: 0.7179 0.0069 0.6769  1 Ge 2.22
S: 0.7475 0.5023 0.2007  1 Ge 2.26
S: 0.7493 0.7417 0.9366  1 Ge 2.26
S: 0.7508 0.2681 0.9385  1 Ge 2.25
S: 0.7550 0.2650 0.4390  1 Ge 2.26
S: 0.7555 0.7379 0.4392  1 Ge 2.26
S: 0.7575 0.5048 0.6996  1 Ge 2.26, 1 Mn 2.51
S: 0.7863 0.0022 0.1783  1 Ge 2.22

Results
* E_form (uncorrected): -457 meV per atom
* spin magnetization: 2.5 μB per formula unit
* energy: -6.095 eV per atom

---

First-principles (PBE) data for a relaxed Mn2GeS4 crystal, as listed in the Alexandria database.

a b c (Å): 10.2798 10.3425 7.2725
angles (deg): 90.00 134.70 90.00
Closest atoms and distances in Å follow each position.
Space group C2/c (No. 15)
Symmetry-distinct sites (fractional):
Mn: 0.0000 0.0000 0.0000  6 S 2.46-2.48
Mn: 0.2500 0.2500 0.0000  6 S 2.47-2.48
Ge: 0.0000 0.3758 0.2500  4 S 2.42-2.44
S: 0.0003 0.2393 0.5208  1 Ge 2.42, 3 Mn 2.47-2.48
S: 0.2276 0.0115 0.9774  1 Ge 2.44, 3 Mn 2.46-2.47

Results
* E_form (uncorrected): -433 meV per atom
* spin magnetization: 8.0 μB per formula unit
* energy: -6.071 eV per atom

---

First-principles (PBE) data for a relaxed SrMnGe2S6 crystal, as listed in the Alexandria database.

a b c (Å): 12.9862 12.2621 7.0074
angles (deg): 90.00 111.62 90.00
Closest atoms and distances in Å follow each position.
Space group C2/c (No. 15)
Symmetry-distinct sites (fractional):
Sr: 0.0000 0.1319 0.2500  6 S 2.94-3.06
Mn: 0.0000 0.2219 0.7500  4 S 2.35-2.47
Ge: 0.2006 0.4267 0.1940  4 S 2.22-2.31
S: 0.1138 0.0754 0.6850  1 Ge 2.24, 1 Mn 2.47
S: 0.1326 0.2637 0.0745  1 Ge 2.22, 1 Mn 2.35
S: 0.1357 0.4374 0.4595  2 Ge 2.27-2.31

Results
* E_form (uncorrected): -678 meV per atom
* spin magnetization: 5.0 μB per formula unit
* energy: -5.163 eV per atom

---

First-principles (PBE) data for a relaxed MnTlGe2S6 crystal, as listed in the Alexandria database.

a b c (Å): 14.0189 12.4763 6.4505
angles (deg): 90.00 108.70 90.00
Closest atoms and distances in Å follow each position.
Space group C2/c (No. 15)
Symmetry-distinct sites (fractional):
Mn: 0.0000 0.2422 0.2500  4 S 2.13-2.14
Tl: 0.0000 0.0975 0.7500  4 S 3.05-3.35
Ge: 0.2133 0.4126 0.6831  4 S 2.27-2.35
S: 0.0576 0.3322 0.5437  1 Mn 2.13, 1 Ge 2.31
S: 0.1165 0.1351 0.2321  1 Mn 2.14, 1 Ge 2.35
S: 0.2089 0.4203 0.0397  2 Ge 2.27-2.32

Results
* E_form (uncorrected): -206 meV per atom
* spin magnetization: 2.0 μB per formula unit
* energy: -4.759 eV per atom

---

First-principles (PBE) data for a relaxed Tm6MnGe2S14 crystal, as listed in the Alexandria database.

a b c (Å): 9.4933 9.4933 6.0289
angles (deg): 90.00 90.00 120.00
Closest atoms and distances in Å follow each position.
Space group P3 (No. 143)
Symmetry-distinct sites (fractional):
Tm: 0.0233 0.5379 0.0000  6 S 2.64-2.84
Tm: 0.3066 0.1254 0.5093  6 S 2.62-2.85
Mn: 0.6667 0.3333 0.3506  6 S 2.41-2.43
Ge: 0.0000 0.0000 0.9395  4 S 2.23-2.24
Ge: 0.3333 0.6667 0.4256  4 S 2.23-2.24
S: 0.0000 0.0000 0.3092  1 Ge 2.23